Populous World and Invoice Discounting

Populous World
Populous World
Published in
2 min readAug 29, 2018

Invoice discounting is the process of selling invoices to a third party, to advance up to 95% of the value of the invoices instantly, rather endure the common payment cycles between your business and your customer, which can take up to 90 days or longer. This alternative funding method is most popular amongst SMEs, that seek an external source of financing other than banks and traditional lenders.

By way of an example: Clothing Ltd receives an order for 100,000 scarves, priced at £1 per scarf, from CustomerX. Clothing Ltd produces an invoice for £100,000 with a 30-day payment term. Fabrics Ltd needs to buy and source a large quantity of fabric to fulfill its next order and pay for labour and equipment costs, so it could really appreciate an advancement of cash from this invoice sooner than 30 days.
Fortunately, Mr. Kapoor, a wealthy private investor, steps in. He offers to loan Clothing Ltd £95,000 now on the agreement that he will receive the full £100,000 when it is paid by CustomerX.

The formula is a win for all parties. Clothing Ltd takes a measured hit on profit from the invoice but is able to release the cash immediately. CustomerX receives the number of scarves as agreed. Mr. Kapoor in turn earns £5,000 in 30 days speculating that the transaction would go through without any disruptions.

**Data records from another source follow**
1.

The invoice discounting process is completed confidentially so the supplier paying the invoice will still be paying Clothing Ltd the full amount on the invoice. They need not be aware that Clothing Ltd is adopting an invoice finance service.

The Populous World formula

Populous World is the first platform to utilise Ethereum blockchain technology for invoice finance. Blockchain implements transparency and efficiency to the process and transactions, ensuring that the risk of fraud and costs are all positively affected. The platform provides the means for global investors to participate in an auction of invoices, the advantage of this being cross border payments can be taken within seconds, allowing the invoice sellers to receive their cash instantly. This effective funding formula provides substantial short-term funding solutions to increase business activities, allowing SMEs to receive more cash flow or working capital upfront, at a lower discounted rate.

With an easy and intuitive user interface, investors can easily choose and track the invoices they want to bid on. Innovative features such as XBRL targeted acquisition and Altman Z scoring will ensure a regular flow of credit graded invoices for investment.

For more information on invoice discounting for your business, our team of expert funding specialists are here to help:

